Data =
____________
1.
For NaTiI2N, a GGA-PBE-relaxed structure gives the computed powder diffractogram in this record (copper Kα).
Neutral-atom scattering factors, no anomalous dispersion.

Cell and atoms:
Cell lengths 5.825, 5.825, 3.822 Å; angles 90.00, 90.00, 90.00 degrees
Space group P4/mmm (No. 123)
One atom of each set of equivalent atoms:
Na1 0.000 0.000 0.000 [1 per cell]
Ti1 0.500 0.500 0.500 [1 per cell]
I1 0.000 0.500 0.500 [2 per cell]
N1 0.500 0.500 0.000 [1 per cell]

Most intense lines, 10° ≤ 2θ ≤ 90°, in order of falling intensity:
d (Å)	I/Imax
2.913	100
2.802	92
2.317	62
3.822	60
4.119	56
1.659	37

2.
For Nd3I7N, a GGA-PBE-relaxed structure gives the computed powder diffractogram in this record (copper Kα).
Neutral-atom scattering factors, no anomalous dispersion.

Cell and atoms:
Cell lengths 8.5768, 8.5768, 8.1372 Å; angles 90.00, 90.00, 120.00 degrees
Space group P3m1 (No. 156)
One atom of each set of equivalent atoms:
Nd1 0.1861 0.3723 0.0000 [3 per cell]
I1 0.0000 0.0000 0.7662 [1 per cell]
I2 0.3353 0.1677 0.2238 [3 per cell]
I3 0.5081 0.0162 0.7482 [3 per cell]
N1 0.3333 0.6667 0.0608 [1 per cell]

Most intense lines, 10° ≤ 2θ ≤ 90°, in order of falling intensity:
d (Å)	I/Imax
3.379	100
2.743	58
8.137	51
2.190	32
2.144	30
1.476	16

3.
For Nd4I6N, a GGA-PBE-relaxed structure gives the computed powder diffractogram in this record (copper Kα).
Neutral-atom scattering factors, no anomalous dispersion.

Cell and atoms:
Cell lengths 10.0755, 10.0755, 8.5438 Å; angles 90.00, 90.00, 120.00 degrees
Space group P6_3mc (No. 186)
One atom of each set of equivalent atoms:
Nd1 0.2048 0.4096 0.0000 [6 per cell]
Nd2 0.3333 0.6667 0.6796 [2 per cell]
I1 0.0560 0.5280 0.3160 [6 per cell]
I2 0.1364 0.2728 0.6320 [6 per cell]
N1 0.3333 0.6667 0.9624 [2 per cell]

Most intense lines, 10° ≤ 2θ ≤ 90°, in order of falling intensity:
d (Å)	I/Imax
3.077	100
3.052	100
2.753	82
2.519	60
2.611	54
2.707	48

4.
For NiI6N6, a GGA-PBE-relaxed structure gives the computed powder diffractogram in this record (copper Kα).
Neutral-atom scattering factors, no anomalous dispersion.

Cell and atoms:
Cell lengths 19.475, 13.041, 5.596 Å; angles 90.00, 95.41, 90.00 degrees
Space group C2/c (No. 15)
One atom of each set of equivalent atoms:
Ni1 0.250 0.250 0.000 [4 per cell]
I1 0.000 0.000 0.000 [4 per cell]
I2 0.000 0.378 0.250 [4 per cell]
I3 0.115 0.213 0.181 [8 per cell]
I4 0.236 0.375 0.478 [8 per cell]
N1 0.176 0.333 0.111 [8 per cell]
N2 0.201 0.217 0.684 [8 per cell]
N3 0.207 0.133 0.161 [8 per cell]

Most intense lines, 10° ≤ 2θ ≤ 90°, in order of falling intensity:
d (Å)	I/Imax
4.849	100
5.063	81
2.894	59
5.410	48
2.645	45
3.085	42

5.
For Pm2INO, a GGA-PBE-relaxed structure gives the computed powder diffractogram in this record (copper Kα).
Neutral-atom scattering factors, no anomalous dispersion.

Cell and atoms:
Cell lengths 13.104, 4.008, 9.983 Å; angles 90.00, 118.80, 90.00 degrees
Space group C2/m (No. 12)
One atom of each set of equivalent atoms:
Pm1 0.023 0.000 0.281 [4 per cell]
Pm2 0.149 0.500 0.044 [4 per cell]
I1 0.168 0.500 0.623 [4 per cell]
N1 0.040 0.500 0.177 [4 per cell]
O1 0.153 0.000 0.931 [4 per cell]

Most intense lines, 10° ≤ 2θ ≤ 90°, in order of falling intensity:
d (Å)	I/Imax
3.117	100
2.768	66
3.213	57
2.875	32
1.928	24
2.004	19

6.
For TaINO2, a GGA-PBE-relaxed structure gives the computed powder diffractogram in this record (copper Kα).
Neutral-atom scattering factors, no anomalous dispersion.

Cell and atoms:
Cell lengths 3.920, 3.920, 4.623 Å; angles 90.00, 90.00, 90.00 degrees
Space group P4/mmm (No. 123)
One atom of each set of equivalent atoms:
Ta1 0.000 0.000 0.000 [1 per cell]
I1 0.500 0.500 0.500 [1 per cell]
N1 0.000 0.000 0.500 [1 per cell]
O1 0.000 0.500 0.000 [2 per cell]

Most intense lines, 10° ≤ 2θ ≤ 90°, in order of falling intensity:
d (Å)	I/Imax
2.990	100
2.772	39
1.639	35
1.775	22
1.960	21
2.312	18

7.
____________
Work order =
Duplicate all of the notes further above verbatim.
Reply =
1.
For NaTiI2N, a GGA-PBE-relaxed structure gives the computed powder diffractogram in this record (copper Kα).
Neutral-atom scattering factors, no anomalous dispersion.

Cell and atoms:
Cell lengths 5.825, 5.825, 3.822 Å; angles 90.00, 90.00, 90.00 degrees
Space group P4/mmm (No. 123)
One atom of each set of equivalent atoms:
Na1 0.000 0.000 0.000 [1 per cell]
Ti1 0.500 0.500 0.500 [1 per cell]
I1 0.000 0.500 0.500 [2 per cell]
N1 0.500 0.500 0.000 [1 per cell]

Most intense lines, 10° ≤ 2θ ≤ 90°, in order of falling intensity:
d (Å)	I/Imax
2.913	100
2.802	92
2.317	62
3.822	60
4.119	56
1.659	37

2.
For Nd3I7N, a GGA-PBE-relaxed structure gives the computed powder diffractogram in this record (copper Kα).
Neutral-atom scattering factors, no anomalous dispersion.

Cell and atoms:
Cell lengths 8.5768, 8.5768, 8.1372 Å; angles 90.00, 90.00, 120.00 degrees
Space group P3m1 (No. 156)
One atom of each set of equivalent atoms:
Nd1 0.1861 0.3723 0.0000 [3 per cell]
I1 0.0000 0.0000 0.7662 [1 per cell]
I2 0.3353 0.1677 0.2238 [3 per cell]
I3 0.5081 0.0162 0.7482 [3 per cell]
N1 0.3333 0.6667 0.0608 [1 per cell]

Most intense lines, 10° ≤ 2θ ≤ 90°, in order of falling intensity:
d (Å)	I/Imax
3.379	100
2.743	58
8.137	51
2.190	32
2.144	30
1.476	16

3.
For Nd4I6N, a GGA-PBE-relaxed structure gives the computed powder diffractogram in this record (copper Kα).
Neutral-atom scattering factors, no anomalous dispersion.

Cell and atoms:
Cell lengths 10.0755, 10.0755, 8.5438 Å; angles 90.00, 90.00, 120.00 degrees
Space group P6_3mc (No. 186)
One atom of each set of equivalent atoms:
Nd1 0.2048 0.4096 0.0000 [6 per cell]
Nd2 0.3333 0.6667 0.6796 [2 per cell]
I1 0.0560 0.5280 0.3160 [6 per cell]
I2 0.1364 0.2728 0.6320 [6 per cell]
N1 0.3333 0.6667 0.9624 [2 per cell]

Most intense lines, 10° ≤ 2θ ≤ 90°, in order of falling intensity:
d (Å)	I/Imax
3.077	100
3.052	100
2.753	82
2.519	60
2.611	54
2.707	48

4.
For NiI6N6, a GGA-PBE-relaxed structure gives the computed powder diffractogram in this record (copper Kα).
Neutral-atom scattering factors, no anomalous dispersion.

Cell and atoms:
Cell lengths 19.475, 13.041, 5.596 Å; angles 90.00, 95.41, 90.00 degrees
Space group C2/c (No. 15)
One atom of each set of equivalent atoms:
Ni1 0.250 0.250 0.000 [4 per cell]
I1 0.000 0.000 0.000 [4 per cell]
I2 0.000 0.378 0.250 [4 per cell]
I3 0.115 0.213 0.181 [8 per cell]
I4 0.236 0.375 0.478 [8 per cell]
N1 0.176 0.333 0.111 [8 per cell]
N2 0.201 0.217 0.684 [8 per cell]
N3 0.207 0.133 0.161 [8 per cell]

Most intense lines, 10° ≤ 2θ ≤ 90°, in order of falling intensity:
d (Å)	I/Imax
4.849	100
5.063	81
2.894	59
5.410	48
2.645	45
3.085	42

5.
For Pm2INO, a GGA-PBE-relaxed structure gives the computed powder diffractogram in this record (copper Kα).
Neutral-atom scattering factors, no anomalous dispersion.

Cell and atoms:
Cell lengths 13.104, 4.008, 9.983 Å; angles 90.00, 118.80, 90.00 degrees
Space group C2/m (No. 12)
One atom of each set of equivalent atoms:
Pm1 0.023 0.000 0.281 [4 per cell]
Pm2 0.149 0.500 0.044 [4 per cell]
I1 0.168 0.500 0.623 [4 per cell]
N1 0.040 0.500 0.177 [4 per cell]
O1 0.153 0.000 0.931 [4 per cell]

Most intense lines, 10° ≤ 2θ ≤ 90°, in order of falling intensity:
d (Å)	I/Imax
3.117	100
2.768	66
3.213	57
2.875	32
1.928	24
2.004	19

6.
For TaINO2, a GGA-PBE-relaxed structure gives the computed powder diffractogram in this record (copper Kα).
Neutral-atom scattering factors, no anomalous dispersion.

Cell and atoms:
Cell lengths 3.920, 3.920, 4.623 Å; angles 90.00, 90.00, 90.00 degrees
Space group P4/mmm (No. 123)
One atom of each set of equivalent atoms:
Ta1 0.000 0.000 0.000 [1 per cell]
I1 0.500 0.500 0.500 [1 per cell]
N1 0.000 0.000 0.500 [1 per cell]
O1 0.000 0.500 0.000 [2 per cell]

Most intense lines, 10° ≤ 2θ ≤ 90°, in order of falling intensity:
d (Å)	I/Imax
2.990	100
2.772	39
1.639	35
1.775	22
1.960	21
2.312	18

7.